--- a ---
A relaxed structure of Tl6InHg, computed with GGA-PBE.

Results
- N(E_F): 5.031 states/eV/f.u.
- V: 34.2 Å³/atom
- Space group: No. 166

Cell: 12.0313 6.5097 6.5097 Å, 93.97 51.97 128.03°
Fractional coordinates of all 8 atoms:
Tl: 0.1632 0.6264 0.0000
Tl: 0.5369 0.3736 0.6264
Tl: 0.8368 0.3736 0.0000
Tl: 0.8368 0.0000 0.6264
Tl: 0.4631 0.6264 0.3736
Tl: 0.1632 0.0000 0.3736
In: 0.0000 0.0000 0.0000
Hg: 0.5000 0.0000 0.0000

=====

--- b ---
A relaxed structure of Tl6InHg, computed with GGA-PBE.

Results
- N(E_F): 3.996 states/eV/f.u.
- V: 31.5 Å³/atom
- Space group: No. 12

Cell: 6.9719 6.9719 7.2749 Å, 105.33 105.33 121.83°
Fractional coordinates of all 8 atoms:
Tl: 0.2467 0.2467 0.7511
Tl: 0.4697 0.0138 0.2530
Tl: 0.7533 0.7533 0.2489
Tl: 0.9862 0.5303 0.7470
Tl: 0.5303 0.9862 0.7470
Tl: 0.0138 0.4697 0.2530
In: 0.5000 0.5000 0.5000
Hg: 0.0000 0.0000 0.0000

=====

If we sort the structures by their calculated energies, the order from most to least stable is b, a.

=====

--- a ---
A relaxed structure of TlIn5Hg2, computed with GGA-PBE.

Results
- N(E_F): 2.352 states/eV/f.u.
- V: 27.6 Å³/atom
- Space group: No. 14

Cell: 4.3209 7.8902 13.0641 Å, 90.00 98.08 90.00°
Fractional coordinates of all 16 atoms:
Tl: 0.0000 0.0000 0.5000
Tl: 0.0000 0.5000 0.0000
In: 0.0000 0.0000 0.0000
In: 0.0000 0.5000 0.5000
In: 0.0198 0.5041 0.7521
In: 0.9802 0.4959 0.2479
In: 0.0204 0.9958 0.2521
In: 0.9796 0.0042 0.7479
In: 0.4964 0.2408 0.8720
In: 0.5036 0.7592 0.1280
In: 0.4967 0.2592 0.3719
In: 0.5033 0.7408 0.6281
Hg: 0.5080 0.2642 0.6247
Hg: 0.4920 0.7358 0.3753
Hg: 0.5084 0.2358 0.1247
Hg: 0.4916 0.7642 0.8753

=====

--- b ---
A relaxed structure of TlIn5Hg2, computed with GGA-PBE.

Results
- N(E_F): 3.630 states/eV/f.u.
- V: 28.4 Å³/atom
- Space group: No. 71

Cell: 4.4416 7.5603 7.5603 Å, 74.70 72.92 72.92°
Fractional coordinates of all 8 atoms:
Tl: 0.0000 0.0000 0.0000
In: 0.0000 0.5000 0.5000
In: 0.6421 0.5492 0.1667
In: 0.3579 0.4508 0.8333
In: 0.3579 0.8333 0.4508
In: 0.6421 0.1667 0.5492
Hg: 0.7179 0.7821 0.7821
Hg: 0.2821 0.2179 0.2179

=====

If we sort the structures by their calculated energies, the order from most to least stable is a, b.

=====

--- a ---
A relaxed structure of Tl2In4Hg3, computed with GGA-PBE.

Results
- N(E_F): 3.599 states/eV/f.u.
- V: 28.3 Å³/atom
- Space group: No. 15

Cell: 4.1785 12.1364 12.1369 Å, 56.36 85.22 85.22°
Fractional coordinates of all 18 atoms:
Tl: 0.2100 0.7351 0.4922
Tl: 0.2901 0.5078 0.2649
Tl: 0.7900 0.2649 0.5078
Tl: 0.7099 0.4922 0.7351
In: 0.5367 0.0579 0.8286
In: 0.9633 0.1714 0.9421
In: 0.4633 0.9421 0.1714
In: 0.0367 0.8286 0.0579
In: 0.6603 0.8523 0.6150
In: 0.8397 0.3850 0.1477
In: 0.3397 0.1477 0.3850
In: 0.1603 0.6150 0.8523
Hg: 0.1055 0.9660 0.7094
Hg: 0.3945 0.2906 0.0340
Hg: 0.8945 0.0340 0.2906
Hg: 0.6055 0.7094 0.9660
Hg: 0.2500 0.3686 0.6314
Hg: 0.7500 0.6314 0.3686

=====

--- b ---
A relaxed structure of Tl2In4Hg3, computed with GGA-PBE.

Results
- N(E_F): 2.679 states/eV/f.u.
- V: 28.5 Å³/atom
- Space group: No. 64

Cell: 6.8047 9.1256 8.9414 Å, 90.00 112.37 90.00°
Fractional coordinates of all 18 atoms:
Tl: 0.1015 0.5846 0.2031
Tl: 0.8985 0.4154 0.7969
Tl: 0.3985 0.0846 0.7969
Tl: 0.6015 0.9154 0.2031
In: 0.6915 0.7500 0.8830
In: 0.8085 0.2500 0.1170
In: 0.3085 0.2500 0.1170
In: 0.1915 0.7500 0.8830
In: 0.1822 0.9848 0.3644
In: 0.8178 0.0152 0.6356
In: 0.3178 0.4848 0.6356
In: 0.6822 0.5152 0.3644
Hg: 0.0000 0.0000 0.0000
Hg: 0.5000 0.5000 0.0000
Hg: 0.5102 0.7500 0.5204
Hg: 0.9898 0.2500 0.4796
Hg: 0.4898 0.2500 0.4796
Hg: 0.0102 0.7500 0.5204

=====

If we sort the structures by their calculated energies, the order from most to least stable is b, a.

=====

--- a ---
A relaxed structure of Tl3In3Hg2, computed with GGA-PBE.

Results
- N(E_F): 3.410 states/eV/f.u.
- V: 29.1 Å³/atom
- Space group: No. 12

Cell: 4.8497 5.8313 8.7039 Å, 99.46 106.18 90.00°
Fractional coordinates of all 8 atoms:
Tl: 0.1326 0.6056 0.2652
Tl: 0.8674 0.3944 0.7348

Count the lines further above that contain the word "relaxed" and give the number alone.

7